== What to do ==
Please reproduce the whole of the data underneath unchanged.
== Input ==
-- begin --
{"formula": "C3H6N2O2", "method": "the ωB97M-V functional and the def2-TZVPD basis", "spin_multiplicity": 1, "relative_energy_ev": 0.000, "homo_energy_ev": -10.270, "smiles": "CC(=O)NC(N)=O", "homo_lumo_gap_ev": 10.861, "symbols": ["C", "C", "O", "N", "C", "N", "O", "H", "H", "H", "H", "H", "H"], "coordinates": [[-1.516, 1.239, 0.001], [-1.364, -0.248, -0.002], [-2.279, -1.034, -0.004], [-0.068, -0.746, -0.001], [1.148, -0.069, -0.002], [2.215, -0.912, -0.002], [1.265, 1.130, -0.004], [-1.027, 1.664, -0.873], [-2.573, 1.488, 0.000], [-1.028, 1.661, 0.876], [-0.039, -1.759, -0.002], [2.135, -1.912, 0.009], [3.132, -0.502, 0.003]], "lowdin_charge": [0.00, -0.50, 0.08, 0.15, -0.59, 0.16, 0.07, 0.09, 0.09, 0.09, 0.15, 0.10, 0.11]}


{"formula": "C2H6N2", "method": "the ωB97M-V functional and the def2-TZVPD basis", "spin_multiplicity": 1, "relative_energy_ev": 4.402, "homo_energy_ev": -8.855, "homo_lumo_gap_ev": 9.616, "symbols": ["C", "N", "C", "N", "H", "H", "H", "H", "H", "H"], "coordinates": [[0.877, -1.005, 0.217], [-0.435, -0.829, -0.405], [-0.980, 0.266, -0.099], [-0.553, 1.650, -0.030], [0.866, -0.779, 1.291], [1.700, -0.412, -0.213], [1.187, -2.043, 0.122], [-1.985, 0.201, 0.331], [-1.111, 1.155, -0.953], [0.433, 1.796, -0.263]], "lowdin_charge": [-0.15, -0.03, -0.44, 0.09, 0.08, 0.06, 0.06, 0.13, 0.13, 0.06]}


{"formula": "CH11N3O3", "method": "the ωB97M-V functional and the def2-TZVPD basis", "spin_multiplicity": 1, "relative_energy_ev": 0.728, "homo_energy_ev": -9.160, "smiles": "N=C(N)N.O.O.O", "homo_lumo_gap_ev": 9.694, "symbols": ["N", "C", "N", "N", "H", "H", "H", "H", "H", "O", "H", "H", "O", "H", "H", "O", "H", "H"], "coordinates": [[-0.610, 0.426, -0.939], [-0.120, -0.426, -0.117], [-0.362, -0.442, 1.259], [0.678, -1.421, -0.548], [-1.474, 0.870, -0.678], [-0.876, 0.348, 1.598], [0.481, -0.648, 1.773], [0.827, -1.520, -1.544], [0.916, -2.222, 0.002], [2.384, 1.201, 1.434], [1.800, 1.265, 0.660], [3.103, 1.797, 1.205], [-4.147, -1.243, 0.043], [-3.485, -0.968, 0.689], [-4.665, -0.432, -0.049], [2.069, 1.457, -1.512], [1.112, 1.410, -1.664], [2.368, 0.549, -1.612]], "lowdin_charge": [0.08, -0.65, 0.12, 0.14, 0.04, 0.09, 0.08, 0.11, 0.10, -0.08, -0.01, 0.04, -0.06, 0.02, 0.04, -0.08, 0.00, 0.03]}
-- stop --
== Solution ==
{"formula": "C3H6N2O2", "method": "the ωB97M-V functional and the def2-TZVPD basis", "spin_multiplicity": 1, "relative_energy_ev": 0.000, "homo_energy_ev": -10.270, "smiles": "CC(=O)NC(N)=O", "homo_lumo_gap_ev": 10.861, "symbols": ["C", "C", "O", "N", "C", "N", "O", "H", "H", "H", "H", "H", "H"], "coordinates": [[-1.516, 1.239, 0.001], [-1.364, -0.248, -0.002], [-2.279, -1.034, -0.004], [-0.068, -0.746, -0.001], [1.148, -0.069, -0.002], [2.215, -0.912, -0.002], [1.265, 1.130, -0.004], [-1.027, 1.664, -0.873], [-2.573, 1.488, 0.000], [-1.028, 1.661, 0.876], [-0.039, -1.759, -0.002], [2.135, -1.912, 0.009], [3.132, -0.502, 0.003]], "lowdin_charge": [0.00, -0.50, 0.08, 0.15, -0.59, 0.16, 0.07, 0.09, 0.09, 0.09, 0.15, 0.10, 0.11]}


{"formula": "C2H6N2", "method": "the ωB97M-V functional and the def2-TZVPD basis", "spin_multiplicity": 1, "relative_energy_ev": 4.402, "homo_energy_ev": -8.855, "homo_lumo_gap_ev": 9.616, "symbols": ["C", "N", "C", "N", "H", "H", "H", "H", "H", "H"], "coordinates": [[0.877, -1.005, 0.217], [-0.435, -0.829, -0.405], [-0.980, 0.266, -0.099], [-0.553, 1.650, -0.030], [0.866, -0.779, 1.291], [1.700, -0.412, -0.213], [1.187, -2.043, 0.122], [-1.985, 0.201, 0.331], [-1.111, 1.155, -0.953], [0.433, 1.796, -0.263]], "lowdin_charge": [-0.15, -0.03, -0.44, 0.09, 0.08, 0.06, 0.06, 0.13, 0.13, 0.06]}


{"formula": "CH11N3O3", "method": "the ωB97M-V functional and the def2-TZVPD basis", "spin_multiplicity": 1, "relative_energy_ev": 0.728, "homo_energy_ev": -9.160, "smiles": "N=C(N)N.O.O.O", "homo_lumo_gap_ev": 9.694, "symbols": ["N", "C", "N", "N", "H", "H", "H", "H", "H", "O", "H", "H", "O", "H", "H", "O", "H", "H"], "coordinates": [[-0.610, 0.426, -0.939], [-0.120, -0.426, -0.117], [-0.362, -0.442, 1.259], [0.678, -1.421, -0.548], [-1.474, 0.870, -0.678], [-0.876, 0.348, 1.598], [0.481, -0.648, 1.773], [0.827, -1.520, -1.544], [0.916, -2.222, 0.002], [2.384, 1.201, 1.434], [1.800, 1.265, 0.660], [3.103, 1.797, 1.205], [-4.147, -1.243, 0.043], [-3.485, -0.968, 0.689], [-4.665, -0.432, -0.049], [2.069, 1.457, -1.512], [1.112, 1.410, -1.664], [2.368, 0.549, -1.612]], "lowdin_charge": [0.08, -0.65, 0.12, 0.14, 0.04, 0.09, 0.08, 0.11, 0.10, -0.08, -0.01, 0.04, -0.06, 0.02, 0.04, -0.08, 0.00, 0.03]}